**Activity**
What is needed: reproduce the part of the data further down that starts with the line with "0.9814, 0.5186]]," and stops after the one with "0.3812], [0.3708,".

**Listing**
~~~
# 1
{"formula": "DyNiO3", "functional": "GGA+U", "state": "relaxed", "lattice_angstrom": [[5.6227, 0.0000, 0.0000], [0.0000, 7.4534, 0.0000], [0.0000, 0.0000, 5.2117]], "species": ["Dy", "Dy", "Dy", "Dy", "Ni", "Ni", "Ni", "Ni", "O", "O", "O", "O", "O", "O", "O", "O", "O", "O", "O", "O"], "fractional_positions": [[0.0776, 0.2500, 0.0212], [0.4224, 0.7500, 0.5212], [0.5776, 0.2500, 0.4788], [0.9224, 0.7500, 0.9788], [0.0000, 0.0000, 0.5000], [0.0000, 0.5000, 0.5000], [0.5000, 0.0000, 0.0000], [0.5000, 0.5000, 0.0000], [0.0305, 0.7500, 0.3954], [0.1923, 0.5520, 0.8030], [0.1923, 0.9480, 0.8030], [0.3077, 0.0520, 0.3030], [0.3077, 0.4480, 0.3030], [0.4695, 0.2500, 0.8954], [0.5305, 0.7500, 0.1046], [0.6923, 0.5520, 0.6970], [0.6923, 0.9480, 0.6970], [0.8077, 0.0520, 0.1970], [0.8077, 0.4480, 0.1970], [0.9695, 0.2500, 0.6046]], "final_energy_ev_per_atom": -6.629, "formation_energy_ev_per_fu": -12.5, "rho_kg_m3": 8186, "spacegroup": "Pnma, No. 62"}

# 2
{"formula": "SrPrDyNiO6", "functional": "GGA+U", "state": "relaxed", "lattice_angstrom": [[0.0000, 4.0133, 4.0133], [4.0133, 0.0000, 4.0133], [4.0133, 4.0133, 0.0000]], "species": ["Sr", "Pr", "Dy", "Ni", "O", "O", "O", "O", "O", "O"], "fractional_positions": [[0.0000, 0.0000, 0.0000], [0.5000, 0.5000, 0.5000], [0.2500, 0.2500, 0.2500], [0.7500, 0.7500, 0.7500], [0.5186, 0.5186, 0.9814], [0.5186, 0.9814, 0.5186], [0.5186, 0.9814, 0.9814], [0.9814, 0.5186, 0.5186], [0.9814, 0.5186, 0.9814], [0.9814, 0.9814, 0.5186]], "final_energy_ev_per_atom": -6.678, "formation_energy_ev_per_fu": -26.9, "rho_kg_m3": 7009, "spacegroup": "F-43m, No. 216"}

# 3
{"formula": "RbDyW2O8", "functional": "GGA+U", "state": "relaxed", "lattice_angstrom": [[9.1724, 0.0000, 0.0000], [0.0000, 10.4389, 0.0000], [-1.2000, 0.0000, 7.9860]], "species": ["Rb", "Rb", "Rb", "Rb", "Dy", "Dy", "Dy", "Dy", "W", "W", "W", "W", "W", "W", "W", "W", "O", "O", "O", "O", "O", "O", "O", "O", "O", "O", "O", "O", "O", "O", "O", "O", "O", "O", "O", "O", "O", "O", "O", "O", "O", "O", "O", "O", "O", "O", "O", "O"], "fractional_positions": [[0.0115, 0.2165, 0.0730], [0.0115, 0.2835, 0.5730], [0.9885, 0.7165, 0.4270], [0.9885, 0.7835, 0.9270], [0.4359, 0.2233, 0.9786], [0.4359, 0.2767, 0.4786], [0.5641, 0.7233, 0.5214], [0.5641, 0.7767, 0.0214], [0.2818, 0.5139, 0.2141], [0.2818, 0.9861, 0.7141], [0.3382, 0.5122, 0.8236], [0.3382, 0.9878, 0.3236], [0.6618, 0.0122, 0.6764], [0.6618, 0.4878, 0.1764], [0.7182, 0.0139, 0.2859], [0.7182, 0.4861, 0.7859], [0.1101, 0.5914, 0.1551], [0.1101, 0.9086, 0.6551], [0.1754, 0.5899, 0.7334], [0.1754, 0.9101, 0.2334], [0.2328, 0.1228, 0.8401], [0.2328, 0.3772, 0.3401], [0.2749, 0.1004, 0.5012], [0.2749, 0.3996, 0.0012], [0.3460, 0.1390, 0.2042], [0.3460, 0.3610, 0.7042], [0.3708, 0.6198, 0.3812], [0.3708, 0.8802, 0.8812], [0.4077, 0.6040, 0.0453], [0.4077, 0.8960, 0.5453], [0.4927, 0.6048, 0.7428], [0.4927, 0.8952, 0.2428], [0.5073, 0.1048, 0.7572], [0.5073, 0.3952, 0.2572], [0.5923, 0.1040, 0.4547], [0.5923, 0.3960, 0.9547], [0.6292, 0.1198, 0.1188], [0.6292, 0.3802, 0.6188], [0.6540, 0.6390, 0.2958], [0.6540, 0.8610, 0.7958], [0.7251, 0.6004, 0.9988], [0.7251, 0.8996, 0.4988], [0.7672, 0.6228, 0.6599], [0.7672, 0.8772, 0.1599], [0.8246, 0.0899, 0.7666], [0.8246, 0.4101, 0.2666], [0.8899, 0.0914, 0.3449], [0.8899, 0.4086, 0.8449]], "final_energy_ev_per_atom": -7.383, "formation_energy_ev_per_fu": -31.9, "rho_kg_m3": 6460, "spacegroup": "P2_1/c, No. 14"}

# 4
~~~

**Result**
{"formula": "SrPrDyNiO6", "functional": "GGA+U", "state": "relaxed", "lattice_angstrom": [[0.0000, 4.0133, 4.0133], [4.0133, 0.0000, 4.0133], [4.0133, 4.0133, 0.0000]], "species": ["Sr", "Pr", "Dy", "Ni", "O", "O", "O", "O", "O", "O"], "fractional_positions": [[0.0000, 0.0000, 0.0000], [0.5000, 0.5000, 0.5000], [0.2500, 0.2500, 0.2500], [0.7500, 0.7500, 0.7500], [0.5186, 0.5186, 0.9814], [0.5186, 0.9814, 0.5186], [0.5186, 0.9814, 0.9814], [0.9814, 0.5186, 0.5186], [0.9814, 0.5186, 0.9814], [0.9814, 0.9814, 0.5186]], "final_energy_ev_per_atom": -6.678, "formation_energy_ev_per_fu": -26.9, "rho_kg_m3": 7009, "spacegroup": "F-43m, No. 216"}

# 3
{"formula": "RbDyW2O8", "functional": "GGA+U", "state": "relaxed", "lattice_angstrom": [[9.1724, 0.0000, 0.0000], [0.0000, 10.4389, 0.0000], [-1.2000, 0.0000, 7.9860]], "species": ["Rb", "Rb", "Rb", "Rb", "Dy", "Dy", "Dy", "Dy", "W", "W", "W", "W", "W", "W", "W", "W", "O", "O", "O", "O", "O", "O", "O", "O", "O", "O", "O", "O", "O", "O", "O", "O", "O", "O", "O", "O", "O", "O", "O", "O", "O", "O", "O", "O", "O", "O", "O", "O"], "fractional_positions": [[0.0115, 0.2165, 0.0730], [0.0115, 0.2835, 0.5730], [0.9885, 0.7165, 0.4270], [0.9885, 0.7835, 0.9270], [0.4359, 0.2233, 0.9786], [0.4359, 0.2767, 0.4786], [0.5641, 0.7233, 0.5214], [0.5641, 0.7767, 0.0214], [0.2818, 0.5139, 0.2141], [0.2818, 0.9861, 0.7141], [0.3382, 0.5122, 0.8236], [0.3382, 0.9878, 0.3236], [0.6618, 0.0122, 0.6764], [0.6618, 0.4878, 0.1764], [0.7182, 0.0139, 0.2859], [0.7182, 0.4861, 0.7859], [0.1101, 0.5914, 0.1551], [0.1101, 0.9086, 0.6551], [0.1754, 0.5899, 0.7334], [0.1754, 0.9101, 0.2334], [0.2328, 0.1228, 0.8401], [0.2328, 0.3772, 0.3401], [0.2749, 0.1004, 0.5012], [0.2749, 0.3996, 0.0012], [0.3460, 0.1390, 0.2042], [0.3460, 0.3610, 0.7042], [0.3708, 0.6198, 0.3812], [0.3708, 0.8802, 0.8812], [0.4077, 0.6040, 0.0453], [0.4077, 0.8960, 0.5453], [0.4927, 0.6048, 0.7428], [0.4927, 0.8952, 0.2428], [0.5073, 0.1048, 0.7572], [0.5073, 0.3952, 0.2572], [0.5923, 0.1040, 0.4547], [0.5923, 0.3960, 0.9547], [0.6292, 0.1198, 0.1188], [0.6292, 0.3802, 0.6188], [0.6540, 0.6390, 0.2958], [0.6540, 0.8610, 0.7958], [0.7251, 0.6004, 0.9988], [0.7251, 0.8996, 0.4988], [0.7672, 0.6228, 0.6599], [0.7672, 0.8772, 0.1599], [0.8246, 0.0899, 0.7666], [0.8246, 0.4101, 0.2666], [0.8899, 0.0914, 0.3449], [0.8899, 0.4086, 0.8449]], "final_energy_ev_per_atom": -7.383, "formation_energy_ev_per_fu": -31.9, "rho_kg_m3": 6460, "spacegroup": "P2_1/c, No. 14"}